-- Material --
+++
Record 1
ErAl10Fe2: computed X-ray diffraction stick pattern (Cu Kα), based on a structure optimized by DFT (PBE).
No peak broadening, texture or thermal motion is included.

Structural model:
```
data_ErAl10Fe2
_chemical_formula_sum 'Er4 Al40 Fe8'
_space_group_name_H-M_alt 'C m c m'
_space_group_IT_number 63
_space_group_name_Hall '-C 2c 2'
_cell_length_a 8.902
_cell_length_b 10.109
_cell_length_c 8.928
_cell_angle_alpha 90.00
_cell_angle_beta 90.00
_cell_angle_gamma 90.00
loop_
_atom_site_label
_atom_site_fract_x
_atom_site_fract_y
_atom_site_fract_z
Er1 0.000 0.126 0.250
Al1 0.000 0.157 0.597
Al2 0.000 0.374 0.048
Al3 0.151 0.371 0.750
Al4 0.225 0.359 0.250
Al5 0.228 0.000 0.000
Fe1 0.250 0.250 0.000
```

Most intense lines, 10° ≤ 2θ ≤ 80°, low angle first:
(hkl)  d [Å]  2theta  Rel. int.
1 1 0  6.681  13.25  42
1 1 1  5.349  16.57  50
2 0 2  3.152  28.32  50
2 2 1  3.128  28.53  45
0 2 3  2.564  34.99  37
3 1 2  2.400  37.47  41
0 0 4  2.230  40.45  51
4 0 0  2.223  40.58  98
0 4 2  2.198  41.06  100
4 4 2  1.565  59.02  40

***

Record 2
ErAl4Fe8: computed X-ray diffraction stick pattern (Cu Kα), based on a structure optimized by DFT (PBE).
No peak broadening, texture or thermal motion is included.

Structural model:
```
data_ErAl4Fe8
_chemical_formula_sum 'Er2 Al8 Fe16'
_space_group_name_H-M_alt 'I 4/m m m'
_space_group_IT_number 139
_space_group_name_Hall '-I 4 2'
_cell_length_a 8.487
_cell_length_b 8.487
_cell_length_c 4.949
_cell_angle_alpha 90.00
_cell_angle_beta 90.00
_cell_angle_gamma 90.00
loop_
_atom_site_label
_atom_site_fract_x
_atom_site_fract_y
_atom_site_fract_z
Er1 0.000 0.000 0.000
Al1 0.000 0.345 0.000
Fe1 0.000 0.230 0.500
Fe2 0.250 0.250 0.250
```

Most intense lines, 10° ≤ 2θ ≤ 80°, low angle first:
(hkl)  d [Å]  2theta  Rel. int.
1 1 0  6.001  14.76  26
2 1 1  3.012  29.66  54
3 0 1  2.456  36.59  13
2 0 2  2.137  42.28  43
4 0 0  2.124  42.57  100
2 2 2  1.909  47.64  17
4 2 2  1.506  61.59  15
4 4 0  1.501  61.82  14
3 2 3  1.351  69.60  12
6 3 1  1.226  77.95  11

~~~~~

Theoretical X-ray powder pattern
Compound: Pr2CdIn8
Radiation: Cu Ka
Structure: a cell relaxed with PBE
No peak broadening, texture or thermal motion is included.

Principal peaks in the range 5 to 70 degrees two-theta, sorted by position:
Position (°2θ)	I_rel
29.49	18
33.72	100
36.24	9
36.60	48
43.82	7
52.46	13
52.73	17
58.38	11
64.07	30
66.03	10

Cell and atoms:
```
data_Pr2CdIn8
_cell_length_a 4.9101
_cell_length_b 4.9101
_cell_length_c 12.3943
_cell_angle_alpha 90.00
_cell_angle_beta 90.00
_cell_angle_gamma 90.00
_space_group_name_H-M_alt 'P 4/m m m'
_space_group_IT_number 123
_space_group_name_Hall '-P 4 2'
loop_
_atom_site_label
_atom_site_type_symbol
_atom_site_fract_x
_atom_site_fract_y
_atom_site_fract_z
_atom_site_occupancy
Pr1 Pr 0.0000 0.0000 0.1868 1
Cd1 Cd 0.0000 0.0000 0.5000 1
In1 In 0.0000 0.5000 0.0000 1
In2 In 0.0000 0.5000 0.3659 1
In3 In 0.5000 0.5000 0.1867 1
```

***

Theoretical X-ray powder pattern
Compound: PrCd2In
Radiation: Cu Ka
Structure: a cell relaxed with PBE
No peak broadening, texture or thermal motion is included.

Principal peaks in the range 5 to 70 degrees two-theta, sorted by position:
Position (°2θ)	I_rel
26.47	23
29.71	18
30.01	93
31.34	99
33.19	100
38.59	62
40.21	45
40.98	23
41.47	21
56.96	39

Cell and atoms:
```
data_PrCd2In
_cell_length_a 4.6657
_cell_length_b 18.0437
_cell_length_c 10.1004
_cell_angle_alpha 90.00
_cell_angle_beta 90.00
_cell_angle_gamma 90.00
_space_group_name_H-M_alt 'C m c m'
_space_group_IT_number 63
_space_group_name_Hall '-C 2c 2'
loop_
_atom_site_label
_atom_site_type_symbol
_atom_site_fract_x
_atom_site_fract_y
_atom_site_fract_z
_atom_site_occupancy
Pr1 Pr 0.0000 0.0000 0.0000 1
Pr2 Pr 0.0000 0.1974 0.2500 1
Cd1 Cd 0.0000 0.1943 0.6048 1
Cd2 Cd 0.0000 0.3917 0.2500 1
Cd3 Cd 0.0000 0.4564 0.7500 1
In1 In 0.0000 0.3585 0.5322 1
```

***

Theoretical X-ray powder pattern
Compound: Pr4CdIn
Radiation: Cu Ka
Structure: a cell relaxed with PBE
+++

-- Wanted --
Next, reproduce everything further above unchanged.

-- Worked solution --
Record 1
ErAl10Fe2: computed X-ray diffraction stick pattern (Cu Kα), based on a structure optimized by DFT (PBE).
No peak broadening, texture or thermal motion is included.

Structural model:
```
data_ErAl10Fe2
_chemical_formula_sum 'Er4 Al40 Fe8'
_space_group_name_H-M_alt 'C m c m'
_space_group_IT_number 63
_space_group_name_Hall '-C 2c 2'
_cell_length_a 8.902
_cell_length_b 10.109
_cell_length_c 8.928
_cell_angle_alpha 90.00
_cell_angle_beta 90.00
_cell_angle_gamma 90.00
loop_
_atom_site_label
_atom_site_fract_x
_atom_site_fract_y
_atom_site_fract_z
Er1 0.000 0.126 0.250
Al1 0.000 0.157 0.597
Al2 0.000 0.374 0.048
Al3 0.151 0.371 0.750
Al4 0.225 0.359 0.250
Al5 0.228 0.000 0.000
Fe1 0.250 0.250 0.000
```

Most intense lines, 10° ≤ 2θ ≤ 80°, low angle first:
(hkl)  d [Å]  2theta  Rel. int.
1 1 0  6.681  13.25  42
1 1 1  5.349  16.57  50
2 0 2  3.152  28.32  50
2 2 1  3.128  28.53  45
0 2 3  2.564  34.99  37
3 1 2  2.400  37.47  41
0 0 4  2.230  40.45  51
4 0 0  2.223  40.58  98
0 4 2  2.198  41.06  100
4 4 2  1.565  59.02  40

***

Record 2
ErAl4Fe8: computed X-ray diffraction stick pattern (Cu Kα), based on a structure optimized by DFT (PBE).
No peak broadening, texture or thermal motion is included.

Structural model:
```
data_ErAl4Fe8
_chemical_formula_sum 'Er2 Al8 Fe16'
_space_group_name_H-M_alt 'I 4/m m m'
_space_group_IT_number 139
_space_group_name_Hall '-I 4 2'
_cell_length_a 8.487
_cell_length_b 8.487
_cell_length_c 4.949
_cell_angle_alpha 90.00
_cell_angle_beta 90.00
_cell_angle_gamma 90.00
loop_
_atom_site_label
_atom_site_fract_x
_atom_site_fract_y
_atom_site_fract_z
Er1 0.000 0.000 0.000
Al1 0.000 0.345 0.000
Fe1 0.000 0.230 0.500
Fe2 0.250 0.250 0.250
```

Most intense lines, 10° ≤ 2θ ≤ 80°, low angle first:
(hkl)  d [Å]  2theta  Rel. int.
1 1 0  6.001  14.76  26
2 1 1  3.012  29.66  54
3 0 1  2.456  36.59  13
2 0 2  2.137  42.28  43
4 0 0  2.124  42.57  100
2 2 2  1.909  47.64  17
4 2 2  1.506  61.59  15
4 4 0  1.501  61.82  14
3 2 3  1.351  69.60  12
6 3 1  1.226  77.95  11

~~~~~

Theoretical X-ray powder pattern
Compound: Pr2CdIn8
Radiation: Cu Ka
Structure: a cell relaxed with PBE
No peak broadening, texture or thermal motion is included.

Principal peaks in the range 5 to 70 degrees two-theta, sorted by position:
Position (°2θ)	I_rel
29.49	18
33.72	100
36.24	9
36.60	48
43.82	7
52.46	13
52.73	17
58.38	11
64.07	30
66.03	10

Cell and atoms:
```
data_Pr2CdIn8
_cell_length_a 4.9101
_cell_length_b 4.9101
_cell_length_c 12.3943
_cell_angle_alpha 90.00
_cell_angle_beta 90.00
_cell_angle_gamma 90.00
_space_group_name_H-M_alt 'P 4/m m m'
_space_group_IT_number 123
_space_group_name_Hall '-P 4 2'
loop_
_atom_site_label
_atom_site_type_symbol
_atom_site_fract_x
_atom_site_fract_y
_atom_site_fract_z
_atom_site_occupancy
Pr1 Pr 0.0000 0.0000 0.1868 1
Cd1 Cd 0.0000 0.0000 0.5000 1
In1 In 0.0000 0.5000 0.0000 1
In2 In 0.0000 0.5000 0.3659 1
In3 In 0.5000 0.5000 0.1867 1
```

***

Theoretical X-ray powder pattern
Compound: PrCd2In
Radiation: Cu Ka
Structure: a cell relaxed with PBE
No peak broadening, texture or thermal motion is included.

Principal peaks in the range 5 to 70 degrees two-theta, sorted by position:
Position (°2θ)	I_rel
26.47	23
29.71	18
30.01	93
31.34	99
33.19	100
38.59	62
40.21	45
40.98	23
41.47	21
56.96	39

Cell and atoms:
```
data_PrCd2In
_cell_length_a 4.6657
_cell_length_b 18.0437
_cell_length_c 10.1004
_cell_angle_alpha 90.00
_cell_angle_beta 90.00
_cell_angle_gamma 90.00
_space_group_name_H-M_alt 'C m c m'
_space_group_IT_number 63
_space_group_name_Hall '-C 2c 2'
loop_
_atom_site_label
_atom_site_type_symbol
_atom_site_fract_x
_atom_site_fract_y
_atom_site_fract_z
_atom_site_occupancy
Pr1 Pr 0.0000 0.0000 0.0000 1
Pr2 Pr 0.0000 0.1974 0.2500 1
Cd1 Cd 0.0000 0.1943 0.6048 1
Cd2 Cd 0.0000 0.3917 0.2500 1
Cd3 Cd 0.0000 0.4564 0.7500 1
In1 In 0.0000 0.3585 0.5322 1
```

***

Theoretical X-ray powder pattern
Compound: Pr4CdIn
Radiation: Cu Ka
Structure: a cell relaxed with PBE